Your job: set down all of the contents further below character by character.

Theoretical powder diffractogram of Nd4NiSeI2 for Cu Kα (weighted mean of Kα1 and Kα2), from a cell relaxed with GGA-PBE.
Lines closer than 0.1° are merged.

Crystal structure
a b c (Å): 7.591 4.114 8.118
angles (deg): 90.00 106.67 90.00
Space group P2/m (No. 10)
Symmetry-distinct sites (fractional):
Nd 0.205 0.000 0.190
Nd 0.258 0.500 0.802
Ni 0.000 0.500 0.000
Se 0.500 0.000 0.000
I 0.000 0.000 0.500
I 0.500 0.500 0.500

Principal peaks in the range 15 to 90 degrees two-theta, by angle:
Position (°2θ)  I (rel.)  index
28.39  558  2 0 -2
28.88  1000  1 1 1
29.96  119  2 0 1
31.48  161  1 1 -2
34.60  143  0 0 3
38.44  133  2 0 2
39.95  296  1 1 -3
41.92  398  3 1 -1
44.02  186  0 2 0
53.21  202  2 2 -2

Theoretical powder diffractogram of BaPr2In2O7 for Cu Kα (weighted mean of Kα1 and Kα2), from a cell relaxed with GGA-PBE.
Lines closer than 0.1° are merged.

Crystal structure
a b c (Å): 5.986 5.986 20.848
angles (deg): 90.00 90.00 90.00
Space group P4_2/mnm (No. 136)
Symmetry-distinct sites (fractional):
Ba 0.240 0.240 0.000
Pr 0.221 0.221 0.186
In 0.241 0.241 0.397
O 0.000 0.000 0.091
O 0.000 0.000 0.364
O 0.000 0.500 0.117
O 0.180 0.820 0.211
O 0.202 0.202 0.500

Principal peaks in the range 15 to 90 degrees two-theta, by angle:
Position (°2θ)  I (rel.)  index
29.85  560  2 0 0
30.08  1000  1 1 5
42.72  300  2 2 0
43.40  100  0 0 10
53.13  385  3 1 5
53.57  171  2 0 10
62.01  77  4 0 0
62.54  110  2 2 10
70.31  100  4 2 0
86.03  83  5 1 5

Copy entry 1 word for word.
Theoretical powder diffractogram of Nd4NiSeI2 for Cu Kα (weighted mean of Kα1 and Kα2), from a cell relaxed with GGA-PBE.
Lines closer than 0.1° are merged.

Crystal structure
a b c (Å): 7.591 4.114 8.118
angles (deg): 90.00 106.67 90.00
Space group P2/m (No. 10)
Symmetry-distinct sites (fractional):
Nd 0.205 0.000 0.190
Nd 0.258 0.500 0.802
Ni 0.000 0.500 0.000
Se 0.500 0.000 0.000
I 0.000 0.000 0.500
I 0.500 0.500 0.500

Principal peaks in the range 15 to 90 degrees two-theta, by angle:
Position (°2θ)  I (rel.)  index
28.39  558  2 0 -2
28.88  1000  1 1 1
29.96  119  2 0 1
31.48  161  1 1 -2
34.60  143  0 0 3
38.44  133  2 0 2
39.95  296  1 1 -3
41.92  398  3 1 -1
44.02  186  0 2 0
53.21  202  2 2 -2

----------

Entry 1:
# MgZn
Calculated powder diffraction line list, Cu Kα. Input: DFT lattice parameters and positions (GGA-PBE).
Neutral-atom scattering factors, no anomalous dispersion.

Crystal structure
Lattice parameters (Å, degrees): 4.8003 3.0499 15.1758 90.00 90.00 90.00
Space group Amm2 (No. 38)
Inequivalent atoms, fractional coordinates:
Mg1 0.0000 0.0000 0.0000
Mg2 0.0000 0.0000 0.3252
Mg3 0.5000 0.0000 0.5590
Zn1 0.0000 0.0000 0.6650
Zn2 0.5000 0.0000 0.2219
Zn3 0.5000 0.0000 0.8852

Main lines, by intensity (2θ = 10–80°):
2θ 39.27, intensity 100, hkl 1 1 3; 2θ 40.30, intensity 48, hkl 1 0 6; 2θ 37.47, intensity 38, hkl 2 0 0; 2θ 11.66, intensity 29, hkl 0 0 2; 2θ 34.33, intensity 27, hkl 0 1 3; 2θ 51.74, intensity 21, hkl 2 1 3; 2θ 21.91, intensity 18, hkl 1 0 2; 2θ 75.65, intensity 18, hkl 2 1 9; 2θ 68.81, intensity 17, hkl 3 1 3; 2θ 62.99, intensity 15, hkl 0 1 9

Entry 2:
# CuAs
Calculated powder diffraction line list, Cu Kα. Input: DFT lattice parameters and positions (GGA-PBE).
Neutral-atom scattering factors, no anomalous dispersion.

Crystal structure
Lattice parameters (Å, degrees): 12.3731 4.1620 7.4833 90.00 123.52 90.00
Space group C2/m (No. 12)
Inequivalent atoms, fractional coordinates:
Cu1 0.0000 0.0000 0.0000
Cu2 0.1091 0.0000 0.7855
Cu3 0.2451 0.5000 0.7587
As1 0.0000 0.5000 0.5000
As2 0.1297 0.5000 0.9964
As3 0.1579 0.0000 0.4653

Main lines, by intensity (2θ = 10–80°):
2θ 42.32, intensity 100, hkl 3 1 -3; 2θ 43.49, intensity 28, hkl 0 2 0; 2θ 43.90, intensity 17, hkl 6 0 -2; 2θ 79.02, intensity 16, hkl 3 3 -3; 2θ 42.78, intensity 13, hkl 5 1 -2; 2θ 63.52, intensity 12, hkl 6 2 -2; 2θ 43.65, intensity 10, hkl 5 1 -1; 2θ 32.98, intensity 9, hkl 1 1 -2; 2θ 59.25, intensity 8, hkl 0 0 4; 2θ 30.50, intensity 8, hkl 3 1 -1

Entry 3:

Theoretical powder diffractogram of Nd4NiSeI2 for Cu Kα (weighted mean of Kα1 and Kα2), from a cell relaxed with GGA-PBE.
Lines closer than 0.1° are merged.

Crystal structure
a b c (Å): 7.591 4.114 8.118
angles (deg): 90.00 106.67 90.00
Space group P2/m (No. 10)
Symmetry-distinct sites (fractional):
Nd 0.205 0.000 0.190
Nd 0.258 0.500 0.802
Ni 0.000 0.500 0.000
Se 0.500 0.000 0.000
I 0.000 0.000 0.500
I 0.500 0.500 0.500

Principal peaks in the range 15 to 90 degrees two-theta, by angle:
Position (°2θ)  I (rel.)  index
28.39  558  2 0 -2
28.88  1000  1 1 1
29.96  119  2 0 1
31.48  161  1 1 -2
34.60  143  0 0 3
38.44  133  2 0 2
39.95  296  1 1 -3
41.92  398  3 1 -1
44.02  186  0 2 0
53.21  202  2 2 -2

Theoretical powder diffractogram of BaPr2In2O7 for Cu Kα (weighted mean of Kα1 and Kα2), from a cell relaxed with GGA-PBE.
Lines closer than 0.1° are merged.

Crystal structure
a b c (Å): 5.986 5.986 20.848
angles (deg): 90.00 90.00 90.00
Space group P4_2/mnm (No. 136)
Symmetry-distinct sites (fractional):
Ba 0.240 0.240 0.000
Pr 0.221 0.221 0.186
In 0.241 0.241 0.397
O 0.000 0.000 0.091
O 0.000 0.000 0.364
O 0.000 0.500 0.117
O 0.180 0.820 0.211
O 0.202 0.202 0.500

Principal peaks in the range 15 to 90 degrees two-theta, by angle:
Position (°2θ)  I (rel.)  index
29.85  560  2 0 0
30.08  1000  1 1 5
42.72  300  2 2 0
43.40  100  0 0 10
53.13  385  3 1 5
53.57  171  2 0 10
62.01  77  4 0 0
62.54  110  2 2 10
70.31  100  4 2 0
86.03  83  5 1 5

Copy entry 1 word for word.
Theoretical powder diffractogram of Nd4NiSeI2 for Cu Kα (weighted mean of Kα1 and Kα2), from a cell relaxed with GGA-PBE.
Lines closer than 0.1° are merged.

Crystal structure
a b c (Å): 7.591 4.114 8.118
angles (deg): 90.00 106.67 90.00
Space group P2/m (No. 10)
Symmetry-distinct sites (fractional):
Nd 0.205 0.000 0.190
Nd 0.258 0.500 0.802
Ni 0.000 0.500 0.000
Se 0.500 0.000 0.000
I 0.000 0.000 0.500
I 0.500 0.500 0.500

Principal peaks in the range 15 to 90 degrees two-theta, by angle:
Position (°2θ)  I (rel.)  index
28.39  558  2 0 -2
28.88  1000  1 1 1
29.96  119  2 0 1
31.48  161  1 1 -2
34.60  143  0 0 3
38.44  133  2 0 2
39.95  296  1 1 -3
41.92  398  3 1 -1
44.02  186  0 2 0
53.21  202  2 2 -2

----------

Entry 1:
# MgZn
Calculated powder diffraction line list, Cu Kα. Input: DFT lattice parameters and positions (GGA-PBE).
Neutral-atom scattering factors, no anomalous dispersion.

Crystal structure
Lattice parameters (Å, degrees): 4.8003 3.0499 15.1758 90.00 90.00 90.00
Space group Amm2 (No. 38)
Inequivalent atoms, fractional coordinates:
Mg1 0.0000 0.0000 0.0000
Mg2 0.0000 0.0000 0.3252
Mg3 0.5000 0.0000 0.5590
Zn1 0.0000 0.0000 0.6650
Zn2 0.5000 0.0000 0.2219
Zn3 0.5000 0.0000 0.8852

Main lines, by intensity (2θ = 10–80°):
2θ 39.27, intensity 100, hkl 1 1 3; 2θ 40.30, intensity 48, hkl 1 0 6; 2θ 37.47, intensity 38, hkl 2 0 0; 2θ 11.66, intensity 29, hkl 0 0 2; 2θ 34.33, intensity 27, hkl 0 1 3; 2θ 51.74, intensity 21, hkl 2 1 3; 2θ 21.91, intensity 18, hkl 1 0 2; 2θ 75.65, intensity 18, hkl 2 1 9; 2θ 68.81, intensity 17, hkl 3 1 3; 2θ 62.99, intensity 15, hkl 0 1 9

Entry 2:
# CuAs
Calculated powder diffraction line list, Cu Kα. Input: DFT lattice parameters and positions (GGA-PBE).
Neutral-atom scattering factors, no anomalous dispersion.

Crystal structure
Lattice parameters (Å, degrees): 12.3731 4.1620 7.4833 90.00 123.52 90.00
Space group C2/m (No. 12)
Inequivalent atoms, fractional coordinates:
Cu1 0.0000 0.0000 0.0000
Cu2 0.1091 0.0000 0.7855
Cu3 0.2451 0.5000 0.7587
As1 0.0000 0.5000 0.5000
As2 0.1297 0.5000 0.9964
As3 0.1579 0.0000 0.4653

Main lines, by intensity (2θ = 10–80°):
2θ 42.32, intensity 100, hkl 3 1 -3; 2θ 43.49, intensity 28, hkl 0 2 0; 2θ 43.90, intensity 17, hkl 6 0 -2; 2θ 79.02, intensity 16, hkl 3 3 -3; 2θ 42.78, intensity 13, hkl 5 1 -2; 2θ 63.52, intensity 12, hkl 6 2 -2; 2θ 43.65, intensity 10, hkl 5 1 -1; 2θ 32.98, intensity 9, hkl 1 1 -2; 2θ 59.25, intensity 8, hkl 0 0 4; 2θ 30.50, intensity 8, hkl 3 1 -1

Entry 3: